[Activity]
Repeat the whole of the material further below exactly.

[Listing]
- - -
Here is crystalline Nd3Zn4Pd4 at its relaxed geometry from Alexandria. Energies are from GGA-PBE.

Cell lengths 8.363, 8.363, 8.363 Å; angles 151.10, 127.37, 61.16 degrees
Fractional positions:
Nd  0.000  0.000  0.000
Nd  0.371  0.871  0.500
Nd  0.629  0.129  0.500
Zn  0.021  0.328  0.693
Zn  0.365  0.672  0.693
Zn  0.635  0.328  0.307
Zn  0.979  0.672  0.307
Pd  0.216  0.216  0.000
Pd  0.306  0.500  0.806
Pd  0.694  0.500  0.194
Pd  0.784  0.784  0.000

Results
ΔE_f	-0.67	eV/atom
energy above the most stable polymorph in this dataset	0	meV per atom



Here is crystalline Nd3Zn7Pd2 at its relaxed geometry from Alexandria. Energies are from GGA-PBE.

Cell lengths 9.278, 9.278, 9.278 Å; angles 34.72, 34.72, 34.72 degrees
Fractional positions:
Nd  0.000  0.000  0.000
Nd  0.149  0.149  0.149
Nd  0.851  0.851  0.851
Zn  0.086  0.578  0.578
Zn  0.422  0.422  0.914
Zn  0.422  0.914  0.422
Zn  0.500  0.500  0.500
Zn  0.578  0.086  0.578
Zn  0.578  0.578  0.086
Zn  0.914  0.422  0.422
Pd  0.332  0.332  0.332
Pd  0.668  0.668  0.668

Results
ΔE_f	-0.44	eV/atom



Here is crystalline NdZn9Pd2 at its relaxed geometry from Alexandria. Energies are from GGA-PBE.

Cell lengths 8.772, 8.772, 3.025 Å; angles 90.00, 90.00, 120.00 degrees
Fractional positions:
Nd  0.000  0.000  0.000
Zn  0.000  0.500  0.000
Zn  0.186  0.372  0.500
Zn  0.186  0.814  0.500
Zn  0.372  0.186  0.500
Zn  0.500  0.000  0.000
Zn  0.500  0.500  0.000
Zn  0.628  0.814  0.500
Zn  0.814  0.186  0.500
Zn  0.814  0.628  0.500
Pd  0.333  0.667  0.000
Pd  0.667  0.333  0.000

Results
ΔE_f	-0.27	eV/atom
energy above the most stable polymorph in this dataset	110	meV per atom

~~~~~

Entry 1:
Computed, not measured: a crystal of CsNiHg3 relaxed with PBEsol at the SCAN level of DFT.

D(E_F) = 1.74 states/eV per cell
formation energy = -0.176 eV/atom
symmetry = Pm-3m, No. 221

Cell lengths 5.1349, 5.1349, 5.1349 Å; angles 90.00, 90.00, 90.00 degrees
With the nearest neighbours (Å) after each atom.
Positions (direct):
Cs 0.0000 0.0000 0.0000  12 Hg 3.63
Ni 0.5000 0.5000 0.5000  6 Hg 2.57
Hg 0.0000 0.5000 0.5000  2 Ni 2.57
Hg 0.5000 0.0000 0.5000  2 Ni 2.57
Hg 0.5000 0.5000 0.0000  2 Ni 2.57

Entry 2:
Computed, not measured: a crystal of Al3TlPb relaxed with PBEsol at the SCAN level of DFT.

D(E_F) = 2.91 states/eV per cell
formation energy = 0.807 eV/atom
symmetry = Pm-3m, No. 221

Cell lengths 5.1922, 5.1922, 5.1922 Å; angles 90.00, 90.00, 90.00 degrees
With the nearest neighbours (Å) after each atom.
Positions (direct):
Al 0.0000 0.0000 0.5000  2 Tl 2.60
Al 0.0000 0.5000 0.0000  2 Tl 2.60
Al 0.5000 0.0000 0.0000  2 Tl 2.60
Tl 0.0000 0.0000 0.0000  6 Al 2.60
Pb 0.5000 0.5000 0.5000  12 Al 3.67

Entry 3:
Computed, not measured: a crystal of LaHf2ZrBe relaxed with PBEsol at the SCAN level of DFT.

D(E_F) = 7.26 states/eV per cell
formation energy = 0.611 eV/atom
symmetry = P4/mmm, No. 123

Cell lengths 4.7556, 4.7556, 5.1311 Å; angles 90.00, 90.00, 90.00 degrees
With the nearest neighbours (Å) after each atom.
Positions (direct):
La 0.0000 0.0000 0.0000  2 Be 2.57
Hf 0.0000 0.5000 0.5000  2 Be 2.38
Hf 0.5000 0.0000 0.5000  2 Be 2.38
Zr 0.5000 0.5000 0.0000  4 La 3.36, 8 Hf 3.50
Be 0.0000 0.0000 0.5000  4 Hf 2.38, 2 La 2.57

~~~~~

[1]
Density functional theory data (GGA-PBEsol) for a relaxed structure of GaAuNF2.

Results
E, Ry/atom: -0.32859
Raw formation energy, eV/atom: -0.542

Cell lengths 3.733, 3.733, 4.196 Å; angles 90.00, 90.00, 90.00 degrees
Space group P4/mmm (No. 123)
Asymmetric unit:
Ga: 0.000 0.000 0.000 [1 per cell]
Au: 0.500 0.500 0.500 [1 per cell]
N: 0.000 0.000 0.500 [1 per cell]
F: 0.000 0.500 0.000 [2 per cell]

[2]
Density functional theory data (GGA-PBEsol) for a relaxed structure of GaAu2SF.

Results
E, Ry/atom: -0.25879
Raw formation energy, eV/atom: -0.021

Cell lengths 4.850, 4.850, 3.876 Å; angles 90.00, 90.00, 90.00 degrees
Space group P4/mmm (No. 123)
Asymmetric unit:
Ga: 0.000 0.000 0.000 [1 per cell]
Au: 0.000 0.500 0.000 [2 per cell]
- - -

[Outcome]
Here is crystalline Nd3Zn4Pd4 at its relaxed geometry from Alexandria. Energies are from GGA-PBE.

Cell lengths 8.363, 8.363, 8.363 Å; angles 151.10, 127.37, 61.16 degrees
Fractional positions:
Nd  0.000  0.000  0.000
Nd  0.371  0.871  0.500
Nd  0.629  0.129  0.500
Zn  0.021  0.328  0.693
Zn  0.365  0.672  0.693
Zn  0.635  0.328  0.307
Zn  0.979  0.672  0.307
Pd  0.216  0.216  0.000
Pd  0.306  0.500  0.806
Pd  0.694  0.500  0.194
Pd  0.784  0.784  0.000

Results
ΔE_f	-0.67	eV/atom
energy above the most stable polymorph in this dataset	0	meV per atom



Here is crystalline Nd3Zn7Pd2 at its relaxed geometry from Alexandria. Energies are from GGA-PBE.

Cell lengths 9.278, 9.278, 9.278 Å; angles 34.72, 34.72, 34.72 degrees
Fractional positions:
Nd  0.000  0.000  0.000
Nd  0.149  0.149  0.149
Nd  0.851  0.851  0.851
Zn  0.086  0.578  0.578
Zn  0.422  0.422  0.914
Zn  0.422  0.914  0.422
Zn  0.500  0.500  0.500
Zn  0.578  0.086  0.578
Zn  0.578  0.578  0.086
Zn  0.914  0.422  0.422
Pd  0.332  0.332  0.332
Pd  0.668  0.668  0.668

Results
ΔE_f	-0.44	eV/atom



Here is crystalline NdZn9Pd2 at its relaxed geometry from Alexandria. Energies are from GGA-PBE.

Cell lengths 8.772, 8.772, 3.025 Å; angles 90.00, 90.00, 120.00 degrees
Fractional positions:
Nd  0.000  0.000  0.000
Zn  0.000  0.500  0.000
Zn  0.186  0.372  0.500
Zn  0.186  0.814  0.500
Zn  0.372  0.186  0.500
Zn  0.500  0.000  0.000
Zn  0.500  0.500  0.000
Zn  0.628  0.814  0.500
Zn  0.814  0.186  0.500
Zn  0.814  0.628  0.500
Pd  0.333  0.667  0.000
Pd  0.667  0.333  0.000

Results
ΔE_f	-0.27	eV/atom
energy above the most stable polymorph in this dataset	110	meV per atom

~~~~~

Entry 1:
Computed, not measured: a crystal of CsNiHg3 relaxed with PBEsol at the SCAN level of DFT.

D(E_F) = 1.74 states/eV per cell
formation energy = -0.176 eV/atom
symmetry = Pm-3m, No. 221

Cell lengths 5.1349, 5.1349, 5.1349 Å; angles 90.00, 90.00, 90.00 degrees
With the nearest neighbours (Å) after each atom.
Positions (direct):
Cs 0.0000 0.0000 0.0000  12 Hg 3.63
Ni 0.5000 0.5000 0.5000  6 Hg 2.57
Hg 0.0000 0.5000 0.5000  2 Ni 2.57
Hg 0.5000 0.0000 0.5000  2 Ni 2.57
Hg 0.5000 0.5000 0.0000  2 Ni 2.57

Entry 2:
Computed, not measured: a crystal of Al3TlPb relaxed with PBEsol at the SCAN level of DFT.

D(E_F) = 2.91 states/eV per cell
formation energy = 0.807 eV/atom
symmetry = Pm-3m, No. 221

Cell lengths 5.1922, 5.1922, 5.1922 Å; angles 90.00, 90.00, 90.00 degrees
With the nearest neighbours (Å) after each atom.
Positions (direct):
Al 0.0000 0.0000 0.5000  2 Tl 2.60
Al 0.0000 0.5000 0.0000  2 Tl 2.60
Al 0.5000 0.0000 0.0000  2 Tl 2.60
Tl 0.0000 0.0000 0.0000  6 Al 2.60
Pb 0.5000 0.5000 0.5000  12 Al 3.67

Entry 3:
Computed, not measured: a crystal of LaHf2ZrBe relaxed with PBEsol at the SCAN level of DFT.

D(E_F) = 7.26 states/eV per cell
formation energy = 0.611 eV/atom
symmetry = P4/mmm, No. 123

Cell lengths 4.7556, 4.7556, 5.1311 Å; angles 90.00, 90.00, 90.00 degrees
With the nearest neighbours (Å) after each atom.
Positions (direct):
La 0.0000 0.0000 0.0000  2 Be 2.57
Hf 0.0000 0.5000 0.5000  2 Be 2.38
Hf 0.5000 0.0000 0.5000  2 Be 2.38
Zr 0.5000 0.5000 0.0000  4 La 3.36, 8 Hf 3.50
Be 0.0000 0.0000 0.5000  4 Hf 2.38, 2 La 2.57

~~~~~

[1]
Density functional theory data (GGA-PBEsol) for a relaxed structure of GaAuNF2.

Results
E, Ry/atom: -0.32859
Raw formation energy, eV/atom: -0.542

Cell lengths 3.733, 3.733, 4.196 Å; angles 90.00, 90.00, 90.00 degrees
Space group P4/mmm (No. 123)
Asymmetric unit:
Ga: 0.000 0.000 0.000 [1 per cell]
Au: 0.500 0.500 0.500 [1 per cell]
N: 0.000 0.000 0.500 [1 per cell]
F: 0.000 0.500 0.000 [2 per cell]

[2]
Density functional theory data (GGA-PBEsol) for a relaxed structure of GaAu2SF.

Results
E, Ry/atom: -0.25879
Raw formation energy, eV/atom: -0.021

Cell lengths 4.850, 4.850, 3.876 Å; angles 90.00, 90.00, 90.00 degrees
Space group P4/mmm (No. 123)
Asymmetric unit:
Ga: 0.000 0.000 0.000 [1 per cell]
Au: 0.000 0.500 0.000 [2 per cell]